We live in a fast paced, immediate gratification culture. Microwavable food, drive through windows for just about everything, get rich quick plans, too many examples to cite! For the topic of Success, the list grows exponentially. The truth is that there is no easy or quick way to achieve Success.
Sure, we’ve all heard about the 21 year old who made millions designing a great app or the talented teen who made it big on American Idol. But even with the seemingly “over night” success stories, there is usually a trait of perseverance at work. No matter what got in their way, they continued to plug along; they continued to pursue their dream.
Success in and of itself is subjective. How you define success is certainly different than how I define it or just about anyone else you may ask. So for this moment, we’ll leave the definition of Success up to you; just visualize what that is as we move forward.
Whether it’s running your first marathon, getting that great promotion, landing that awesome job, or losing weight…no matter what your goal is you must first visualize what success means relative to that goal. That’s step 1. It is very important that you identify what exactly success will look like. Step 2 is to post that goal and what success looks like somewhere where you’ll see it every day. This keeps you honest; a constant reminder of what you have set out to achieve. For example, when I set out to run my first marathon, I posted the marathon map on the mirror in my bathroom with the finish line highlighted. Every morning as I brushed my teeth, I looked at that map and visualized myself running across that finish line. Step 3 is being willing to work hard and to relentlessly pursue that goal no matter what. Even if your best friend tells you that you’re an idiot. Even if your spouse or family members doubt you. Work hard and understand that mistakes are part of moving forward and as long as you are moving forward, you are getting closer to your goal and Success! Understand that failure is just a learning step toward that goal. Commit to stay in the game…quitting/giving up is not a path to Success.
Step 4, give yourself time. Be patient. This is at the core of perseverance. Just because we are used to immediate gratification in many aspects of our lives doesn’t mean that LIFE actually works that way. Savor the journey. The best achievements are those that are hard earned. Be relentless and let nothing discourage you; especially yourself! Which takes us to Step 5….believe in yourself! Practice positive self-talk. Choose to have a great attitude. Remember always that God made us all in His image; we are wonderfully unique. In the moments when you feel down, reflect on your journey and the positive things that you have experienced. These are gems to draw on when you are being challenged the most. Another helpful way to stay on track is to recruit an accountability buddy. This can be someone who shares the same goal or someone who is a die-hard supporter and will always be there for you.
### Records of molecules, kept here for reference
/*
Molecular formula: C20H24BrOS2SbSe4V
Method: DFT, ωB97M-V/def2-TZVPD

Structure (ORCA input):
```
! wB97M-V def2-TZVPD RIJCOSX def2/J DEFGRID3
* xyz -1 1
H 3.52 -1.34 -2.22
C 1.30 0.00 2.41
H 3.76 1.23 4.51
S -3.66 1.61 -2.83
H 2.45 -2.16 3.69
H 3.72 -1.26 4.53
O -1.09 0.01 -1.10
H -6.63 1.24 1.02
C 3.08 1.24 3.65
C -0.25 0.01 0.00
H 3.69 -1.31 2.76
H -5.30 2.48 -0.63
C -4.50 0.70 -1.58
S -3.60 -1.63 -2.79
H 2.02 0.01 5.81
H 3.60 -1.34 -0.44
C 1.35 0.01 4.95
H 0.71 -0.87 5.01
C 1.32 0.02 -2.62
H -6.61 -1.26 1.04
C -4.48 -0.72 -1.56
H 3.69 1.29 2.74
H 2.48 2.15 3.70
H 2.95 -0.03 1.09
H -0.63 0.04 3.39
H 0.70 -0.86 -2.74
C 1.86 -0.01 1.15
C 2.99 1.23 -1.29
C -0.09 0.02 2.46
Br -2.67 0.05 1.49
H 2.38 2.14 -1.30
H 3.62 1.22 -2.18
C -6.02 -0.72 0.31
C -6.04 0.70 0.30
V -2.38 0.02 -2.33
Se -0.62 2.28 -7.25
Se -1.34 -1.76 -7.59
C -0.81 0.03 1.28
C -5.25 -1.42 -0.58
Se 2.19 -0.39 -6.46
C 1.17 0.00 -0.06
C 2.07 -0.01 -1.31
C 2.18 0.00 3.66
C 3.06 -1.26 3.66
H 0.73 0.91 5.00
H 3.63 1.26 -0.40
Sb -0.23 0.04 -6.39
Se -1.45 0.03 -4.10
H -5.23 -2.49 -0.57
C 2.92 -1.30 -1.30
H 2.28 -2.18 -1.27
H 2.02 0.04 -3.46
H 0.70 0.90 -2.69
C -5.29 1.40 -0.61
*
```

For the largest force on an atom, the calculation gives 4.4 eV Å⁻¹. For the frontier orbital gap, the calculation gives 0.1809 hartree. The highest occupied orbital energy is -4.081 eV.

These are the natural (NBO) partial charges, in e, on atoms 1 to 2: H 0.223; C -0.030

* * * * *

Formula: C4H5O4
Source: the Open Molecules 2025 dataset
Level of theory: ωB97M-V/def2-TZVPD

## Properties
Largest force on an atom = 4.2 eV/A
LUMO = 3.997 eV
Energy relative to the best compared isomer or geometry (same formula, charge and spin) = 221.4 kJ/mol
Net charge = -1
Gap between HOMO and LUMO = 8.3545 eV
Molecular weight = 117.08 g/mol

Last column: Mulliken charge in e.
Atoms and positions in Å:
C -0.719 -0.645 1.927  -0.41
C 0.131 0.025 1.179  -0.61
C -0.051 0.548 -0.530  0.66
O -1.360 0.342 -0.941  -0.61
O 0.256 1.871 -0.687  -0.60
C 0.867 -0.432 -1.411  0.69
O 2.026 -0.013 -1.478  -0.78
O 0.328 -1.463 -1.848  -0.77
H -0.618 -0.692 3.145  0.17
H -1.473 -1.244 1.405  0.22
H 0.894 0.598 1.555  0.30
H -1.513 -0.622 -1.317  0.35
H 1.233 1.729 -1.000  0.39
*/
Step 6, repeat 1-5 as needed until you make that Success visualization a reality. Notice that perseverance is not complicated. It’s not glitzy or some new, radical concept. It is also not easy and how long it takes for you to achieve your goal and enjoy success depends on many factors. And there are MANY keys to success; perseverance is one of them and potentially one of the most important. As you progress through your journey you may end up modifying your goal as you become more educated/experienced. You may discover that what you thought you wanted isn’t what you wanted at all! Just go back to Step 1 and reset.
-- begin --
[1]
Density functional theory data (ωB97M-V/def2-TZVPD) for a molecular structure, C40H31N5O4PSV.

molecular weight: 759.70 g/mol
<S²>: 0.78
Kohn-Sham gap (spin up / spin down): 7.0 / 7.4 eV

```
! wB97M-V def2-TZVPD RIJCOSX def2/J DEFGRID3
* xyz -1 2
V 0.26496 0.71674 -0.92295
S -0.80821 0.87559 1.21520
P 0.38832 -2.08350 1.45004
O 0.48249 0.92782 -2.81097
O 1.22878 5.69878 1.44827
O 1.83375 -0.33013 -0.84772
O -0.20414 2.76542 -1.17550
N 1.26416 3.30297 0.47264
N 1.64864 1.98648 0.30522
N -3.31271 0.15050 1.71434
N -2.85818 0.51655 -0.48269
N -1.87507 0.88901 -1.38775
C 1.01756 -4.34407 3.04423
C -1.62831 2.71585 -5.87131
C 0.24456 5.94984 0.56836
C -1.02109 -2.12719 2.64983
C -0.95745 -1.64190 -2.41826
C 2.44638 -6.15793 2.36079
C -1.59211 1.72835 -3.65359
C 2.52650 -5.59516 1.09313
C 2.91111 -0.53497 -0.13839
C -1.37451 -3.91550 -1.77607
C -3.18719 -2.85224 3.44357
C -2.35152 1.31454 -2.49540
C 1.08650 -3.76672 1.77699
C -1.81033 6.59031 -1.22214
C -0.87391 -3.61996 -0.52262
C -0.24456 4.97875 -0.32151
C -0.20542 1.50518 -3.75319
C -1.26779 5.31833 -1.20424
C 1.68778 -5.52562 3.33425
C 2.72400 1.67158 0.92796
C 3.37184 0.39263 0.81037
C 0.44009 1.88657 -4.94563
C -1.32144 7.54587 -0.33593
C 3.64547 -1.71984 -0.32044
C -1.39873 -2.91608 -2.73599
C 4.50927 0.10619 1.57366
C -2.19190 -2.86107 2.47678
C -0.30724 7.23176 0.54858
C -2.27583 2.32222 -4.71965
C -0.46944 -1.30295 -1.14969
C 5.19345 -1.07834 1.41554
C 0.28815 3.59486 -0.35568
C 4.75393 -1.98979 0.44871
C -2.43191 0.48118 0.73546
C -0.40911 -2.33842 -0.19480
C -1.87052 -1.36120 4.78681
C -0.25340 2.48623 -5.97304
C -0.87788 -1.37356 3.81408
C 1.85798 -4.41510 0.80831
C -3.02918 -2.10336 4.60214
H 1.61135 -5.95293 4.32704
H 0.27669 2.78096 -6.87138
H -4.09466 -3.42340 3.28808
H 1.91837 -3.99527 -0.18868
H 2.96654 -7.08095 2.58554
H -1.72265 -4.91611 -2.00479
H 6.06138 -1.29888 2.02267
H -2.17253 3.18760 -6.67848
H 0.08275 7.96415 1.24407
H 4.84354 0.84043 2.29940
H 5.28681 -2.92237 0.30715
H -1.74171 -0.76801 5.68424
H 0.01677 -0.77495 3.94094
H -2.34077 -3.42770 1.56860
H -3.80812 -2.09372 5.35537
H -0.80939 -4.41578 0.20997
H -1.73677 8.54688 -0.33494
H -0.99152 -0.88854 -3.19329
H -1.61882 4.54800 -1.87915
H 0.42561 -3.86983 3.81859
H -2.60329 6.83793 -1.91563
H 1.50440 1.70067 -5.01663
H -3.02055 0.18821 2.67333
H 3.19746 2.43952 1.53864
H 3.11077 -6.08061 0.32027
H -4.29151 0.13928 1.49188
H -3.34534 2.47767 -4.61852
H 3.29629 -2.41229 -1.07571
H 1.48975 4.74867 1.31533
H -1.76068 -3.12820 -3.73620
H -3.43680 1.35407 -2.56782
*
```



[2]
Density functional theory data (ωB97M-V/def2-TZVPD) for a molecular structure, C40H31N8O3PbS3 at a distorted geometry.

molecular weight: 975.14 g/mol
Kohn-Sham gap: 5.3 eV

```
! wB97M-V def2-TZVPD RIJCOSX def2/J DEFGRID3
* xyz 1 1
Pb -0.54722 -0.11275 -0.64223
S 1.42532 -0.40554 -4.75069
S -3.10714 0.70279 -0.51984
S 5.64062 -2.76148 1.71409
O 6.55785 -3.00754 0.61827
O 5.68892 -3.68875 2.82129
O 5.54711 -1.35454 2.11098
-- stop --
If you pick a great goal/dream to achieve and you commit to work hard and persevere, you will greatly improve your chances for turning that success vision into success reality!
2013 was a great year and I am looking forward to an...
• Here the page breaks off for records of molecules:
- - -
The following is a quantum chemistry calculation of C32H64ClN2O10 as an isolated structure, from the OMol25 dataset.

Properties
HOMO: -0.0531 Ha
largest force on an atom: 11.6 eV/A
gap between HOMO and LUMO: 4.079 eV
net charge: -1

Geometry as XYZ:
```
109
C32H64ClN2O10, DFT wB97M-V/def2-TZVPD
C -5.160 -3.539 2.308
N -4.619 -2.180 2.604
C -4.170 -1.930 3.923
C -3.041 -1.163 4.065
C -2.257 -0.619 2.870
C -2.875 -0.867 1.558
C -4.046 -1.675 1.421
C -1.089 0.133 2.986
C -0.712 0.762 4.281
C 0.371 1.521 4.408
N 1.192 1.791 3.277
C 1.134 1.099 2.086
C -0.005 0.312 1.881
C 2.439 2.528 3.579
H -5.555 -3.691 1.446
H -6.035 -3.382 2.949
H -4.806 -4.405 2.764
H -4.628 -2.313 4.838
H -2.798 -0.941 5.135
H -2.284 -0.490 0.674
H -4.373 -1.849 0.463
H -1.183 0.529 5.133
H 0.385 1.988 5.344
H 1.858 1.267 1.093
H -0.218 -0.064 0.868
H 2.970 2.943 2.790
H 3.076 2.036 4.128
H 2.139 3.468 3.962
Cl 1.358 0.411 -1.587
C -2.798 1.039 -1.590
O -3.143 -0.324 -1.677
C -2.139 -1.053 -2.189
C -2.532 -2.346 -2.368
O -2.862 -2.917 -1.017
C -3.233 -4.277 -0.990
H -2.921 1.583 -2.404
H -1.710 1.211 -1.122
H -3.489 1.576 -0.814
H -1.276 -0.809 -1.758
H -2.147 -1.007 -3.324
H -1.724 -3.024 -2.969
H -3.221 -2.686 -3.149
H -2.341 -4.968 -1.444
H -4.223 -4.611 -1.516
H -3.629 -4.587 -0.169
C 4.261 -4.949 4.185
O 3.429 -4.108 3.323
C 3.986 -3.759 2.217
C 3.134 -2.936 1.471
O 2.906 -1.650 2.063
C 2.004 -0.833 1.276
H 4.948 -5.687 3.438
H 3.968 -5.721 4.865
H 4.871 -4.183 4.833
H 4.256 -4.587 1.602
H 4.817 -3.095 2.587
H 2.150 -3.599 1.243
H 3.110 -2.729 0.494
H 1.048 -1.080 1.244
H 2.299 -0.504 0.396
H 1.838 0.105 1.912
C 3.025 -0.236 -2.951
O 2.478 -1.375 -2.374
C 2.299 -2.427 -3.280
C 1.786 -3.387 -2.429
O 0.744 -3.092 -1.541
C 0.330 -4.276 -0.699
H 2.695 0.196 -3.778
H 3.988 -0.571 -3.212
H 3.097 0.576 -2.348
H 3.007 -2.741 -3.747
H 1.795 -2.330 -4.146
H 2.738 -3.768 -1.919
H 1.485 -4.081 -3.223
H 1.171 -5.048 -0.568
H -0.567 -4.913 -1.188
H -0.027 -3.783 0.381
C 0.139 1.740 -0.198
O 0.912 2.560 0.742
C 1.897 3.341 0.061
C 2.574 4.160 1.037
O 1.638 5.072 1.445
C 2.187 6.056 2.355
H -0.523 2.397 -0.862
H -0.448 1.160 0.463
H 0.944 1.313 -0.977
H 1.606 3.931 -0.779
H 2.570 2.604 -0.121
H 3.257 4.866 0.406
H 2.686 3.604 1.980
H 2.709 5.481 3.142
H 1.263 6.718 2.860
H 2.833 6.724 1.890
C -0.880 1.098 -4.057
O -0.671 2.441 -3.569
C -1.676 3.387 -3.983
C -1.384 4.643 -3.752
O -2.331 5.481 -4.409
C -1.909 6.821 -4.448
H -0.588 1.288 -5.156
H -1.944 0.826 -3.898
H 0.055 0.428 -3.852
H -2.591 3.297 -3.708
H -1.836 3.213 -4.889
H -0.387 4.812 -4.137
H -1.396 4.925 -2.645
H -1.128 6.852 -5.346
H -1.578 7.164 -3.552
H -2.750 7.686 -4.917
```


The following is a quantum chemistry calculation of a 9-piece molecular cluster, C32H64N4O18P4S overall, from the OMol25 dataset.

Properties
HOMO: -0.2926 Ha
largest force on an atom: 2.7 eV/A
gap between HOMO and LUMO: 8.331 eV
net charge: 0

Geometry as XYZ:
```
123
C32H64N4O18P4S, DFT wB97M-V/def2-TZVPD
C 0.143 5.826 -2.170
O 0.168 5.279 -0.839
- - -
We live in a fast paced, immediate gratification culture....